Work order:
Could you return every line further below that contains the word "largest"?

Input:
+++
1.
# PrSmSeS

A relaxed PrSmSeS crystal (PBE, the Materials Project).

a = 4.1488 Å, b = 4.1488 Å, c = 5.8522 Å
α = 90.00°, β = 90.00°, γ = 90.00°
Space group P4/mmm (No. 123)
Symmetry-distinct sites (fractional):
Pr (0.0000, 0.0000, 0.0000) (multiplicity 1)
Sm (0.5000, 0.5000, 0.5000) (multiplicity 1)
Se (0.5000, 0.5000, 0.0000) (multiplicity 1)
S (0.0000, 0.0000, 0.5000) (multiplicity 1)



2.
# Pr4Si3S12

A relaxed Pr4Si3S12 crystal (PBE, the Materials Project).

a = 19.3380 Å, b = 19.3380 Å, c = 8.0370 Å
α = 90.00°, β = 90.00°, γ = 120.00°
Space group R3c (No. 161, hexagonal axes)
Symmetry-distinct sites (fractional):
Pr (0.0000, 0.0000, 0.0000) (multiplicity 6)
Pr (0.1050, 0.4352, 0.4610) (multiplicity 18)
Si (0.0135, 0.1995, 0.3447) (multiplicity 18)
S (0.0475, 0.4867, 0.1653) (multiplicity 18)
S (0.0601, 0.1257, 0.2504) (multiplicity 18)
S (0.0657, 0.3985, 0.8186) (multiplicity 18)
S (0.2016, 0.0835, 0.4945) (multiplicity 18)



3.
# Pr6Si4S17

A relaxed Pr6Si4S17 crystal (PBE, the Materials Project).

a = 9.0411 Å, b = 10.0755 Å, c = 14.3808 Å
α = 81.99°, β = 86.88°, γ = 89.32°
Space group P-1 (No. 2)
Symmetry-distinct sites (fractional):
Pr (0.0187, 0.2692, 0.4595) (multiplicity 2)
Pr (0.0836, 0.5801, 0.1657) (multiplicity 2)
Pr (0.1066, 0.8850, 0.8165) (multiplicity 2)
Pr (0.3318, 0.9112, 0.3422) (multiplicity 2)
Pr (0.3700, 0.5660, 0.6754) (multiplicity 2)
Pr (0.4482, 0.2385, 0.0012) (multiplicity 2)
Si (0.2307, 0.9376, 0.0988) (multiplicity 2)
Si (0.2490, 0.9994, 0.5838) (multiplicity 2)
Si (0.2509, 0.5601, 0.9228) (multiplicity 2)
Si (0.2747, 0.5586, 0.3944) (multiplicity 2)
S (0.0095, 0.8722, 0.1145) (multiplicity 2)
S (0.0153, 0.9920, 0.6232) (multiplicity 2)
S (0.0414, 0.6475, 0.9518) (multiplicity 2)
S (0.0692, 0.6433, 0.7221) (multiplicity 2)
S (0.1075, 0.7013, 0.3456) (multiplicity 2)
S (0.1847, 0.4814, 0.5322) (multiplicity 2)
S (0.2471, 0.1129, 0.1670) (multiplicity 2)
S (0.2579, 0.3859, 0.8513) (multiplicity 2)
S (0.2967, 0.8078, 0.5407) (multiplicity 2)
S (0.3001, 0.4116, 0.3034) (multiplicity 2)
S (0.3060, 0.1328, 0.4613) (multiplicity 2)
S (0.3213, 0.9814, 0.9570) (multiplicity 2)
S (0.3404, 0.5014, 0.0564) (multiplicity 2)
S (0.3552, 0.0292, 0.7062) (multiplicity 2)
S (0.3666, 0.7824, 0.1663) (multiplicity 2)
S (0.3831, 0.7125, 0.8391) (multiplicity 2)
S (0.4824, 0.6536, 0.3965) (multiplicity 2)



4.
# PrSm3S4

A relaxed PrSm3S4 crystal (PBE, the Materials Project).

a = 4.0276 Å, b = 4.0276 Å, c = 39.7593 Å
α = 90.00°, β = 90.00°, γ = 120.00°
Space group R-3m (No. 166, hexagonal axes)
Symmetry-distinct sites (fractional):
Pr (0.0000, 0.0000, 0.0000) (multiplicity 3)
Sm (0.0000, 0.0000, 0.2492) (multiplicity 6)
Sm (0.0000, 0.0000, 0.5000) (multiplicity 3)
S (0.0000, 0.0000, 0.1254) (multiplicity 6)
S (0.0000, 0.0000, 0.3770) (multiplicity 6)



5.
# SrPr2S4

A relaxed SrPr2S4 crystal (PBE, the Materials Project).

Summary:
Its largest piezoelectric modulus is 0.4 C/m2.

a = 8.7439 Å, b = 8.7439 Å, c = 8.7457 Å
α = 90.00°, β = 90.00°, γ = 90.00°
Space group I-42d (No. 122)
Symmetry-distinct sites (fractional):
Sr (0.0000, 0.0000, 0.0000) (multiplicity 4)
Pr (0.1273, 0.7500, 0.6250) (multiplicity 8)
S (0.0760, 0.6732, 0.9425) (multiplicity 16)



6.
# Pr2ThS5

A relaxed Pr2ThS5 crystal (PBE, the Materials Project).

a = 12.1007 Å, b = 8.2849 Å, c = 7.5980 Å
α = 90.00°, β = 90.00°, γ = 90.00°
Space group Pnma (No. 62)
Symmetry-distinct sites (fractional):
Pr (0.1777, 0.0000, 0.0216) (multiplicity 8)
Th (0.0099, 0.2500, 0.5747) (multiplicity 4)
S (0.0010, 0.2500, 0.9586) (multiplicity 4)
S (0.0983, 0.5425, 0.6635) (multiplicity 8)
S (0.1871, 0.2500, 0.3278) (multiplicity 4)
S (0.2161, 0.7500, 0.3018) (multiplicity 4)



7.
# PrThUS5

A relaxed PrThUS5 crystal (PBE, the Materials Project).

a = 7.4887 Å, b = 8.0790 Å, c = 12.0445 Å
α = 90.00°, β = 90.00°, γ = 90.00°
Space group P2_12_12_1 (No. 19)
Symmetry-distinct sites (fractional):
Pr (0.0234, 0.2491, 0.4298) (multiplicity 4)
+++

Here it is:
Its largest piezoelectric modulus is 0.4 C/m2.